Why are motor insurance premiums at a record high?

Analysis by The Association of British Insurers (ABI), which looks at 28 million motor insurance policies, suggests that the average price paid for motor insurance in the second quarter of 2023 continued to increase.

The average premium paid for private comprehensive motor insurance was up 7% on the previous quarter at £511. The average price paid by motorists renewing their cover rose by £36 on the previous quarter to £471, while the average premium for a new policy was up £21 to £566. It’s worth noting that there is likely to be a different risk profile for new and renewing customers, as new customers may be more likely to be a younger, less experienced driver.

The rising costs for insurers leading to premium increases:

Increase in motor insurance claims. Insurers paid out £2.4 billion in motor insurance claims, that includes vehicle insurance theft, repairs and personal injury claims in the first quarter of this year. Compared to Q1 2022 the total was up 14%.

• Between two parts of the text: materials data:
Compound: Ba
Source: Materials Project
Functional: GGA-PBE
Structure: relaxed

abc: 8.3449 8.3449 7.5515
angles: 90.00 90.00 90.00
Space group I4/mcm (No. 140)
Asymmetric unit:
Ba 0.1750 0.3250 0.0000 x8

Calculated values
For the energy relative to the lowest polymorph listed for this composition, the calculation gives 0.130 eV per atom. The calculation puts the electronic total energy at -1.789 eV/atom. The formation energy comes out at 0.13 eV/atom.

=====

Compound: Sr2CrN3
Source: Materials Project
Functional: GGA-PBE
Structure: relaxed

abc: 5.6494 11.0169 12.3076
angles: 90.00 90.00 90.00
Space group Cmce (No. 64)
Asymmetric unit:
Sr 0.0000 0.0574 0.1416 x8
Sr 0.0000 0.1424 0.5800 x8
Cr 0.0000 0.2434 0.3361 x8
N 0.0000 0.0884 0.3685 x8
N 0.0000 0.1594 0.9512 x8
N 0.2500 0.2240 0.7500 x8

Calculated values
The calculation puts the electronic total energy at -7.235 eV/atom. The formation energy comes out at -1.08 eV/atom.

=====

Compound: NbSnRu
Source: Materials Project
Functional: GGA-PBE
Structure: relaxed

abc: 6.2840 6.2840 6.2840
angles: 90.00 90.00 90.00
Space group F-43m (No. 216)
Asymmetric unit:
Nb 0.0000 0.0000 0.0000 x4
Sn 0.2500 0.2500 0.2500 x4
Ru 0.0000 0.0000 0.5000 x4

Calculated values
The calculation puts the electronic total energy at -7.174 eV/atom. The formation energy comes out at 0.62 eV/atom.

=====

Compound: KUC3O10
Source: Materials Project
Functional: GGA-PBE
Structure: relaxed

abc: 5.4828 19.8049 9.9034
angles: 90.00 115.21 90.00
Space group P2_1/c (No. 14)
Asymmetric unit:
K 0.0090 0.1207 0.1069 x4
U 0.0472 0.1630 0.5101 x4
C 0.1446 0.5021 0.0604 x4
C 0.4128 0.7169 0.6902 x4
C 0.4796 0.7238 0.2982 x4
O 0.0497 0.0366 0.8572 x4
O 0.1283 0.6644 0.8721 x4
O 0.2132 0.7250 0.5648 x4
O 0.2240 0.1568 0.3917 x4
O 0.2341 0.5607 0.1057 x4
O 0.2664 0.0535 0.6053 x4
O 0.2954 0.0454 0.9250 x4
O 0.3100 0.2300 0.0803 x4
O 0.3280 0.6725 0.2579 x4
O 0.4376 0.1656 0.7653 x4

Calculated values
The calculation puts the electronic total energy at -7.560 eV/atom. The formation energy comes out at -1.70 eV/atom.

=====

Compound: Na9Ca10Nb2P3S15O72
Source: Materials Project
Functional: GGA-PBE
Structure: relaxed

abc: 9.1859 9.2127 23.9083
angles: 89.79 89.74 60.16
Space group P1 (No. 1)
Asymmetric unit:
Na 0.0000 0.0000 0.0000 x1
Na 0.0062 0.9899 0.4991 x1
Na 0.0269 0.6555 0.0721 x1
Na 0.3151 0.3363 0.6580 x1
Na 0.3282 0.3116 0.1587 x1
Na 0.6185 0.9903 0.2502 x1
Na 0.6550 0.6636 0.3320 x1
Na 0.6654 0.0175 0.5725 x1
Na 0.6796 0.6522 0.8314 x1
Ca 0.0062 0.9897 0.6435 x1
Ca 0.0078 0.9963 0.1435 x1
Ca 0.3268 0.3253 0.8120 x1
Ca 0.3284 0.3215 0.3133 x1
Ca 0.3331 0.3230 0.5059 x1
Ca 0.3348 0.3202 0.0058 x1
Ca 0.6533 0.6517 0.1809 x1
Ca 0.6639 0.6566 0.9763 x1
Ca 0.6662 0.6565 0.4764 x1
Ca 0.6666 0.6486 0.6815 x1
Nb 0.0042 0.9885 0.3464 x1
Nb 0.9991 0.9816 0.8466 x1
P 0.0280 0.6258 0.9104 x1
P 0.2950 0.9879 0.2469 x1
P 0.6421 0.0161 0.4076 x1
S 0.0283 0.3147 0.4086 x1
S 0.2884 0.7010 0.7474 x1
S 0.3233 0.0201 0.9075 x1

Increase in vehicle repair costs. There has been an incredible 33% increase in vehicle repair costs over the year since Q1 2022 to £1.5 billion. This figure reflects the rising costs in energy and inflation, with more expensive repairs.

Increase in labour costs. The cost of labour in the motor industry has also risen by up to 40%.

Increase in replacement parts. It is estimated that the cost of replacement parts has increased between 12-21% for many popular cars.

The FCA rules on the pricing of motor and home insurance introduced on 1 January 2022 ensure that the price paid by renewing customers for motor and home insurance is no greater than the price charged to an equivalent new customer for the equivalent policy bought through the same distribution channel, such as insurer, broker, or price comparison website. However, the rules do not set or cap the level of premium paid by new or existing customers. The price of cover will continue to reflect a range of factors, including the cost of settling claims.

With the cost-of-living crisis set to continue with inflation and interest rates increasing monthly, the added pressure for increased motor insurance premiums is difficult to absorb for households. With insurers determined to keep premiums as affordable as possible, now is the time to seek advice from Sutcliffe & Co Insurance to ensure you have the right cover.

Call us today to speak to one of our experienced team on 01905 21681 or email [email protected].